Cameron: Government not keeping UK safe
The government is not doing enough to safeguard the UK’s security, David Cameron has warned in his first major speech since last week’s terror alert.
The Conservative leader said his party wanted to work with ministers to tackle terrorism, but argued that they had failed to take the required action so far.
Mr Cameron said the alleged plot to blow up transatlantic flights was “deeply shocking”, but not surprising, adding that since September 11th people across the world had known about those driven by “a twisted and perverted ideology” to kill innocent people.
And he warned: “I do not believe that the government is doing enough to fight Islamist
extremism at home, or to protect our security.”

However, John Prescott said the Witney MP’s remarks were “almost beyond belief”, and accused him of undermining the political unity needed in the face of such a terror threat.
“All of Britain’s communities are potential victims of the plans of terrorists and we will only defeat them if we remain united as a country,” said the deputy prime minister.
“His claim that we haven’t done enough has to be judged against the Tories failure to support many of the measures that we have introduced to fight terrorism.”
Mr Cameron said he was “deeply concerned” at the Treasury’s decision to freeze the Home Office budget for the next three years, insisting that providing the proper resources for the police and security services must be priority.
He repeated his call for intercept evidence to be allowed in court so more terror suspects could be brought to justice, and stressed that his party still backed a new cabinet position for homeland security and a dedicated border police.
Communities secretary Ruth Kelly and Mr Prescott have been meeting with Muslim leaders this week to urge them to take a tougher line against extremism in their communities in the wake of last week’s terror threat.
But Mr Cameron noted that there had been similar discussions after the July 7th bombings in London last year, and asked why the government had failed to take action – particularly in enforcing its own counter-terrorism laws.
[Attached: materials data]
- - -
Structure and theoretical powder X-ray diffraction pattern of LiCa2Mn2Si5HO15 (a structure optimized by DFT (GGA+U); Cu Kα (weighted mean of Kα1 and Kα2)).

The 8 most intense peaks (15° ≤ 2θ ≤ 90°), in order of rising 2θ:
hkl 2 -1 0, d 3.243, I = 70; hkl 1 2 -2, d 3.136, I = 52; hkl -2 1 1, d 3.069, I = 39; hkl 2 1 -1, d 3.048, I = 58; hkl 0 1 -4, d 2.954, I = 100; hkl 0 2 2, d 2.774, I = 100; hkl 3 -1 0, d 2.254, I = 31; hkl 0 1 6, d 1.726, I = 31

Cell and atoms:
Cell lengths 6.9222, 7.7745, 11.8872 Å; angles 106.20, 92.21, 94.59 degrees
Space group P-1 (No. 2)
One atom of each set of equivalent atoms:
Li 0.1670 0.3445 0.3771
Ca 0.2157 0.7642 0.9769
Ca 0.3609 0.1939 0.5585
Mn 0.3227 0.9548 0.2632
Mn 0.4380 0.4076 0.8527
Si 0.0775 0.5357 0.1794
Si 0.1506 0.7209 0.4482
Si 0.2030 0.0028 0.7816
Si 0.2847 0.1927 0.0498
Si 0.3914 0.6594 0.6545
H 0.0146 0.0737 0.3806
O 0.0073 0.0004 0.2896
O 0.0445 0.2074 0.4908
O 0.0894 0.5585 0.3237
O 0.1205 0.3182 0.1228
O 0.1377 0.4588 0.8750
O 0.1619 0.0717 0.9222
O 0.2470 0.6733 0.1520
O 0.2515 0.6024 0.5288
O 0.2634 0.7928 0.7574
O 0.3094 0.8771 0.4324
O 0.3358 0.0375 0.1084
O 0.3718 0.1248 0.7416
O 0.4117 0.2287 0.3687
O 0.4303 0.4797 0.6900
O 0.4648 0.3223 0.0259

~~~~~

# 1
LaMnO3: computed PXRD pattern (Cu Kα, 1.54184 Å), based on a DFT-relaxed cell (PBE+U, the Materials Project).

Top 8 peaks for 10 to 90 degrees two-theta, low angle first:
22.56°, I 15; 32.12°, I 100; 39.61°, I 20; 45.98°, I 11; 46.11°, I 22; 57.26°, I 38; 67.19°, I 19; 76.50°, I 11

Crystal structure
```
data_LaMnO3
_cell_length_a 5.5683
_cell_length_b 5.5683
_cell_length_c 3.9475
_cell_angle_alpha 90.00
_cell_angle_beta 90.00
_cell_angle_gamma 90.00
_symmetry_space_group_name_H-M 'P 4/m m m'
_symmetry_Int_Tables_number 123
_symmetry_space_group_name_Hall '-P 4 2'
loop_
_atom_site_label
_atom_site_type_symbol
_atom_site_fract_x
_atom_site_fract_y
_atom_site_fract_z
La1 La 0.0000 0.5000 0.0000
Mn1 Mn 0.0000 0.0000 0.5000
Mn2 Mn 0.5000 0.5000 0.5000
O1 O 0.0000 0.0000 0.0000
O2 O 0.2411 0.2411 0.5000
O3 O 0.5000 0.5000 0.0000
```

***

# 2
LaMnO3: computed PXRD pattern (Cu Kα, 1.54184 Å), based on a DFT-relaxed cell (PBE+U, the Materials Project).

Top 8 peaks for 10 to 90 degrees two-theta, low angle first:
31.76°, I 100; 31.94°, I 99; 32.08°, I 57; 32.28°, I 55; 45.18°, I 36; 45.87°, I 30; 46.42°, I 29; 57.16°, I 44

Crystal structure
```
data_LaMnO3
_cell_length_a 11.0946
_cell_length_b 8.0282
_cell_length_c 7.8251
_cell_angle_alpha 90.00
_cell_angle_beta 134.51
_cell_angle_gamma 90.00
_symmetry_space_group_name_H-M 'C 1 2/m 1'
_symmetry_Int_Tables_number 12
loop_
_symmetry_equiv_pos_as_xyz
'x,y,z'
'-x,-y,-z'
'-x,y,-z'
'x,-y,z'
'x+1/2,y+1/2,z'
'-x+1/2,-y+1/2,-z'
'-x+1/2,y+1/2,-z'
'x+1/2,-y+1/2,z'
loop_
_atom_site_label
_atom_site_type_symbol
_atom_site_fract_x
_atom_site_fract_y
_atom_site_fract_z
La1 La 0.2500 0.2500 0.0000
La2 La 0.2500 0.2500 0.5000
Mn1 Mn 0.0000 0.0000 0.0000
Mn2 Mn 0.0000 0.0000 0.5000
Mn3 Mn 0.0000 0.5000 0.0000
- - -
[The text goes on]
For example, he asked why so few preachers of hate had been prosecuted or expelled, and why had so little been done to minimise the impact of foreign imams who came to Britain to preach “often with little knowledge or appreciation of British values”.
“A year ago, we were promised tough and concerted action to deal with the community crisis in our midst. But precious little has actually been done,” he warned.
By contrast, Mr Cameron argued, the Tories had made “constructive suggestions to strengthen the fabric of our society”, including proposals for school exchanges, teaching English to foreigners arriving in the UK and “proper” teaching of history in schools.
He also repeated his support last year for the creation of a mosques commission that could regulate mosques and help young people get involved.
Mr Cameron concluded: “It’s not enough for ministers to sound firm in the face of sudden crisis. We need firmness plus follow-through.”